SIR David Attenborough has planted an oak tree in honour of the late Queen to officially open a new Platinum Jubilee woodland in Richmond Park.

The famed naturalist and TV presenter, 96, described Elizabeth II as a “great lover of trees” and “very fond” of the Royal Parks, and said the new wood was a fitting tribute to her memory.

He shared a strong rapport with the late monarch and selected the English oak as his chosen tree himself.

Forestry Journal: Sir David Attenborough with schoolchildren and presenter Clare Balding as he plants the tree in Richmond Park Sir David Attenborough with schoolchildren and presenter Clare Balding as he plants the tree in Richmond Park (Image: Aaron Chown/PA)

It is one of the final few to be planted as part of The Queen’s Green Canopy (QGC) initiative.

The nationwide Plant a Tree for the Jubilee project, which concludes on March 31, has seen more than a million new trees planted in the Queen’s name to celebrate her reign and create a lasting environmental legacy.

It was extended beyond the end of the jubilee year on the wishes of the King to give people the chance to plant trees in memoriam of his mother, who died in September.

READ MORE: The Queen's life with trees pictured through the decades

Broadcaster Sir David settled the young oak into place in the new four-acre Platinum Jubilee Woodland – which is larger than the size of two football pitches – in the west of Richmond Park, one of London’s eight Royal Parks.

He said he was “thrilled” to be opening it to celebrate the Queen’s life of service.

“The late Queen was very fond of the Royal Parks and was a great lover of trees, so this is a fitting tribute to her memory,” Sir David said.

Forestry Journal: The Queen's love of trees was well known The Queen's love of trees was well known (Image: Paul Edwards/PA Archive/PA Images)

“Its creation also marks the continuing conservation of this protected landscape, and the wonderful wildlife within, so that it can be enjoyed by many generations to come.

“The Queen’s Green Canopy has created an invaluable national legacy for our children, future generations and the planet itself.”

The oak is one of 70 new young broadleaved trees – one for each year of the Queen’s reign – in the new woodland, joining Dutch elm disease-resistant elms, small-leaved limes, and sweet chestnuts.

[Unrelated to this article: data records]
# BeCo3Pd

BeCo3Pd after structural relaxation (PBE, Alexandria via LeMat-Bulk).

Results
- Space-group type: Pm-3m, No. 221
- DFT total energy: -21.76 eV for the cell shown
- Offset from the most stable computed form: 1249 meV per atom
- Total magnetic moment: 6.29 μB/f.u.

Unit cell a=4.5248 b=4.5248 c=4.5248 alpha=90.00 beta=90.00 gamma=90.00
With the nearest neighbours (Å) after each atom.
Fractional positions:
Be: 0.0000 0.0000 0.0000  12 Co 3.20
Co: 0.0000 0.5000 0.5000  2 Pd 2.26
Co: 0.5000 0.0000 0.5000  2 Pd 2.26
Co: 0.5000 0.5000 0.0000  2 Pd 2.26
Pd: 0.5000 0.5000 0.5000  6 Co 2.26



# Be4Co3Pd

Be4Co3Pd after structural relaxation (PBE, Alexandria via LeMat-Bulk).

Results
- Space-group type: P4/mmm, No. 123
- DFT total energy: -44.29 eV for the cell shown
- Total magnetic moment: 0.73 μB/f.u.

Unit cell a=3.7537 b=3.7537 c=5.3168 alpha=90.00 beta=90.00 gamma=90.00
With the nearest neighbours (Å) after each atom.
Fractional positions:
Be: 0.0000 0.5000 0.2315  6 Co 2.24-2.36, 2 Pd 2.36, 1 Be 2.46
Be: 0.0000 0.5000 0.7685  6 Co 2.24-2.36, 2 Pd 2.36, 1 Be 2.46
Be: 0.5000 0.0000 0.2315  6 Co 2.24-2.36, 2 Pd 2.36, 1 Be 2.46
Be: 0.5000 0.0000 0.7685  6 Co 2.24-2.36, 2 Pd 2.36, 1 Be 2.46
Co: 0.0000 0.0000 0.0000  8 Be 2.24
Co: 0.0000 0.0000 0.5000  8 Be 2.36
Co: 0.5000 0.5000 0.0000  8 Be 2.24
Pd: 0.5000 0.5000 0.5000  8 Be 2.36



# Be3CoPd

Be3CoPd after structural relaxation (PBE, Alexandria via LeMat-Bulk).

Results
- Space-group type: Pm-3m, No. 221
- DFT total energy: -21.80 eV for the cell shown
- Offset from the most stable computed form: 0 meV per atom
- Total magnetic moment: 0.00 μB/f.u.

Unit cell a=3.8668 b=3.8668 c=3.8668 alpha=90.00 beta=90.00 gamma=90.00
With the nearest neighbours (Å) after each atom.
Fractional positions:
Be: 0.0000 0.0000 0.5000  2 Co 1.93
Be: 0.0000 0.5000 0.0000  2 Co 1.93
Be: 0.5000 0.0000 0.0000  2 Co 1.93
Co: 0.0000 0.0000 0.0000  6 Be 1.93
Pd: 0.5000 0.5000 0.5000  12 Be 2.73



# RbBe2CoPd

RbBe2CoPd after structural relaxation (PBE, Alexandria via LeMat-Bulk).

Results
- Space-group type: P4/mmm, No. 123
- DFT total energy: -17.16 eV for the cell shown
- Total magnetic moment: 2.14 μB/f.u.

Unit cell a=4.5121 b=4.5121 c=4.9439 alpha=90.00 beta=90.00 gamma=90.00
With the nearest neighbours (Å) after each atom.
Fractional positions:
Rb: 0.0000 0.0000 0.0000  4 Co 3.19, 8 Be 3.35
Be: 0.0000 0.5000 0.5000  2 Pd 2.26
Be: 0.5000 0.0000 0.5000  2 Pd 2.26
Co: 0.5000 0.5000 0.0000  2 Pd 2.47
Pd: 0.5000 0.5000 0.5000  4 Be 2.26, 2 Co 2.47



# ZrBeCoPd

ZrBeCoPd after structural relaxation (PBE, Alexandria via LeMat-Bulk).

Results
- Space-group type: F-43m, No. 216
- DFT total energy: -102.74 eV for the cell shown
- Total magnetic moment: 0.01 μB/f.u.

Unit cell a=6.1128 b=6.1128 c=6.1128 alpha=90.00 beta=90.00 gamma=90.00
With the nearest neighbours (Å) after each atom.
Fractional positions:
Zr: 0.0000 0.0000 0.0000  4 Co 2.65, 4 Pd 2.65
Zr: 0.0000 0.5000 0.5000  4 Co 2.65, 4 Pd 2.65

They have been planted around a focal point which will later incorporate a seating area for rest and reflection, with the larger canopy trees complemented by smaller native trees and hedging such as hawthorn, blackthorn, hazel, elder and dogwood.

It is hoped it will create a new habitat to support wildlife, including the endangered white-letter hairstreak butterfly and the cardinal click beetle.

Volunteers and the local community have worked together to help plant the wood, and Sir David was joined by local schoolchildren from the QGC junior foresters and Friends of Richmond Park Discoverers educational programme, and presenter Clare Balding.

Forestry Journal:

Sir David, who, just like the Queen was, is considered a national treasure, was born in the same year just days apart from the late monarch.

They appeared in an ITV documentary together – The Queen’s Green Planet – in 2018 to mark a Commonwealth project to create a network of protected forests across the world.

He also produced the Queen’s televised Christmas Day address for more than five years in the 1980s and 1990s and is a Queen’s Green Canopy ambassador.

Paul Richards, Richmond Park manager, said: “This tranquil new woodland marks 70 years of Queen Elizabeth II’s reign by providing a welcoming community space for all."